2012 Monthly Meeting Photos
December 2012 Chapter Meeting
Chapter 1071 Group Picture - Dec. 2012

Not pictured: Ernest Covington and Paul Brick
TOP ROW (l to r): David Hennig, Marv Lich, David Steiner, George Eastman, Owen Oliver, Dan Dietz, Richard Cox, Jim Thompson, Ed Koenig.
BOTTOM ROW(l to r): Joe Plant, Lee White, Tony Lopez, John Ed Young, Bill Light, Benny Aloia
All the young men in this photo wish you a very Merry Christmas and a Happy New Year ...........and the old guys do too!
This was the Chapter's last meeting of the year. We accomplished many tasks in a very short time with the most important being designated as an official VVA chapter in early October. Many thanks to the members who made this happen!
We look forward to making significant contributions to the veteran community in the upcoming year.
BOTTOM ROW(l to r): Joe Plant, Lee White, Tony Lopez, John Ed Young, Bill Light, Benny Aloia
All the young men in this photo wish you a very Merry Christmas and a Happy New Year ...........and the old guys do too!
This was the Chapter's last meeting of the year. We accomplished many tasks in a very short time with the most important being designated as an official VVA chapter in early October. Many thanks to the members who made this happen!
We look forward to making significant contributions to the veteran community in the upcoming year.
1st Meeting As Chapter 1071

Meetings have been held over the last several months in order to establish a new Vietnam Veterans of America chapter in Denver, Colorado. The Chapter was approved and designated #1071 on October 1, 2012 and the first meeting as Chapter #1071 was held on October 13, 2012

A special thanks to VFW Post 4171 in Golden, Colorado for allowing our Chapter to use their meeting facilities. We look forward to having our own home in the not too distant future.

## Here the piece breaks off for records of molecules
<<<
# 1
63
Properties=species:S:1:pos:R:3 method="wB97M-V/def2-TZVPD" homo_ev=-14.3 total_energy_ha=-3277.97031 e_above_lowest_kcal_mol=99.20 total_charge=+2
Ti 9.5876 9.5438 10.9709
N 6.4522 9.6723 10.1338
C 7.0085 8.4449 9.8753
C 6.2292 7.6261 9.0473
C 6.6523 6.4175 8.6549
C 7.9407 5.9971 9.1043
C 8.6384 6.7770 9.9333
N 8.2018 8.0465 10.3227
C 6.7330 10.5814 11.1334
C 5.8063 11.5416 11.5280
C 6.2377 12.5522 12.3050
C 7.4685 12.5282 12.9099
C 8.3123 11.4795 12.5931
N 7.9397 10.5440 11.7122
H 5.5373 9.8183 9.7107
H 5.2967 8.0812 8.7227
H 6.0705 5.8661 7.9300
H 8.3199 5.0634 8.8455
H 9.5738 6.3745 10.3584
H 4.9304 11.7105 10.9594
H 5.5681 13.4142 12.5591
H 7.8028 13.2666 13.5856
H 9.2527 11.4621 12.9734
C 11.6470 11.2637 16.6128
C 10.9303 10.1936 16.9970
C 10.4085 9.3426 16.0269
C 10.6272 9.6278 14.7042
C 11.3755 10.7627 14.3437
C 11.8988 11.5953 15.3041
P 9.9449 8.5508 13.3125
C 8.4471 7.7364 13.7335
C 8.1796 6.3956 13.4879
C 7.0380 5.8035 13.9114
C 6.1318 6.5888 14.6987
C 6.3709 7.9144 15.0319
C 7.5380 8.4840 14.5220
C 11.2445 7.5316 12.5000
C 12.3601 6.7693 12.8471
C 13.2618 6.4310 11.8652
C 13.1336 6.9014 10.5931
C 12.0139 7.7100 10.2146
C 11.0491 8.0862 11.1845
H 11.9470 11.9331 17.4109
H 10.6882 10.0172 18.0173
H 9.7774 8.5407 16.3763
H 11.4625 11.0030 13.2554
H 12.4476 12.5044 15.1008
H 8.8897 5.7443 12.9434
H 6.7186 4.7744 13.7554
H 5.3889 5.9035 15.1182
H 5.7096 8.5242 15.5811
H 7.7043 9.4978 14.7624
H 12.5179 6.5074 13.8700
H 14.0937 5.9308 12.3412
H 13.7807 6.6394 9.7720
H 12.0211 8.1106 9.2348
F 9.3210 10.2327 8.7672
Te 10.8378 11.5239 8.7683
F 10.6130 11.7375 6.9575
F 11.8187 10.0362 8.2688
F 9.6377 12.8927 9.0752
F 12.1988 12.6948 8.8589
O 10.7224 10.9076 10.5040

# 2
61
Properties=species:S:1:pos:R:3 method="wB97M-V/def2-TZVPD" homo_ev=-9.0 total_energy_ha=-1816.59808
C 3.3146 -0.1382 1.5490
C 3.0707 -1.5391 0.8992
O 3.8513 -2.4231 1.1751
N 1.9529 -1.8820 0.0220
C 2.1452 -1.4098 -1.3724
N 0.7074 -1.5314 0.5631
C 0.1767 -0.2275 0.2919
O 0.7079 0.8425 0.2019
C -1.3654 -0.5305 0.1918
C -2.5081 0.3782 0.0932
C -2.3236 1.9139 0.0278
C -2.9126 2.6120 -1.1326
C -2.8172 4.0518 -1.3507
C -2.0682 4.8370 -0.3458
C -1.4883 4.1710 0.8295
C -1.6176 2.7126 1.0276
C -3.8737 -0.1782 0.0547
C -4.1534 -1.6345 0.1077
C -5.5948 -2.2136 0.1075
C -6.1596 -2.5308 -1.3111
O -5.8977 -3.4756 -1.9718
F -7.0996 -1.6302 -1.8248
C -3.0043 -2.5849 0.1624
C -3.1586 -4.1322 0.2030
C -2.3383 -4.5981 1.5788
C -3.3012 -5.2633 2.7236
O -2.6528 -3.8234 2.7796
C -1.6831 -1.9765 0.2019
C -0.2642 -2.5976 0.2621
O 0.1408 -3.7108 0.0771
H 3.5435 0.6808 0.8210
H 2.4501 0.0936 2.2241
H 4.2177 -0.2187 2.2210
H 1.2213 -1.4920 -2.0027
H 2.5213 -0.3433 -1.3515
H 2.9804 -2.0073 -1.8398
H -3.4618 2.0088 -1.8930
H -3.2487 4.5857 -2.2325
H -1.9969 5.9427 -0.5155
H -0.9512 4.8230 1.5612
H -1.1603 2.1836 1.9029
H -4.7735 0.4916 0.0118
H -5.6895 -3.1623 0.7090
H -6.3059 -1.4904 0.6071
H -2.6647 -4.6740 -0.6400
H -4.2104 -4.4779 0.3850
H -1.2843 -5.0432 1.4519
H -4.3550 -4.9125 2.8009
>>>

Gentlemen........your new orders have been received........next duty station......RVN!

Special Guest - Judy Atencio
Our Chapter was fortunate to have Judy Atencio attend our December 2012 meeting. Judy works with many organizations like ours in an effort to assist veterans with various issues including disabilities and the homeless. She has assisted our own John Ed Young in securing shelter for several homeless veterans in the past several months. Judy has spent over 20 years working in this capacity and has written numerous grants for up to $7 million in support of these efforts. As a paralegal, she has assisted in drafting and the approvals of many pieces of veteran's related legislation.
Judy is a tireless volunteer who works a tremendous amount of hours on behalf of all veterans!
A very warm thank you to Judy for attending our meeting and for discussing many of the veterans issues that concern all of us.
Judy is a tireless volunteer who works a tremendous amount of hours on behalf of all veterans!
A very warm thank you to Judy for attending our meeting and for discussing many of the veterans issues that concern all of us.